Category: Students

Read stories, issue briefs, op-eds, and more by or about Neag School current students.

Students in Brazil

UConn ScHOLA2RS House Students Experience Brazil

June 8, 2017

Led by Erik Hines, assistant professor in the Department of Educational Psychology, students and faculty advisors from University of Connecticut’s ScHOLA2RS House traveled to the Bahia region of Brazil this spring to learn about the low access rate to higher education among Afro-Brazilian adolescents. Hines is the faculty advisor for the ScHOLA2RS House Learning Community.

Here the page breaks off for records of crystals
********
# CdRh2W2 PBE-GGA optimized geometry
data_CdRh2W2
_chemical_formula_sum 'Cd2 Rh4 W4'
_cell_length_a 7.7960
_cell_length_b 7.7960
_cell_length_c 2.7747
_cell_angle_alpha 90.00
_cell_angle_beta 90.00
_cell_angle_gamma 90.00
_symmetry_space_group_name_H-M 'P 1'
_symmetry_Int_Tables_number 1
loop_
_symmetry_equiv_pos_as_xyz
'x,y,z'
loop_
_atom_site_label
_atom_site_fract_x
_atom_site_fract_y
_atom_site_fract_z
_atom_site_occupancy
W1 0.6176 0.1176 0.0000 1
Rh1 0.6715 0.8285 0.5000 1
W2 0.8824 0.6176 0.0000 1
Cd1 0.5000 0.5000 0.0000 1
W3 0.3824 0.8824 0.0000 1
Rh2 0.8285 0.3285 0.5000 1
Rh3 0.3285 0.1715 0.5000 1
Cd2 0.0000 0.0000 0.0000 1
W4 0.1176 0.3824 0.0000 1
Rh4 0.1715 0.6715 0.5000 1
# Space group   P4/mbm, No. 127
# DOS(E_F)   2.230 states/eV/f.u.
# Energy of formation   0.610 eV/f.u.


# Tm5CoPb PBE-GGA optimized geometry
data_Tm5CoPb
_chemical_formula_sum 'Tm10 Co2 Pb2'
_cell_length_a 6.4294
_cell_length_b 6.4294
_cell_length_c 11.1009
_cell_angle_alpha 72.84
_cell_angle_beta 72.84
_cell_angle_gamma 62.71
_symmetry_space_group_name_H-M 'P 1'
_symmetry_Int_Tables_number 1
loop_
_symmetry_equiv_pos_as_xyz
'x,y,z'
loop_
_atom_site_label
_atom_site_fract_x
_atom_site_fract_y
_atom_site_fract_z
_atom_site_occupancy
Co1 0.0000 0.0000 0.5000 1
Tm1 0.9759 0.0241 0.2500 1
Pb1 0.4721 0.5279 0.2500 1
Co2 0.0000 0.0000 0.0000 1
Tm2 0.1986 0.5595 0.5435 1
Tm3 0.9759 0.6012 0.1359 1
Tm4 0.0241 0.3988 0.8641 1
Tm5 0.6012 0.9759 0.6359 1
Tm6 0.5595 0.1986 0.0435 1
Tm7 0.8014 0.4405 0.4565 1
Tm8 0.3988 0.0241 0.3641 1
Pb2 0.5279 0.4721 0.7500 1
Tm9 0.4405 0.8014 0.9565 1
Tm10 0.0241 0.9759 0.7500 1
# Space group   C2/c, No. 15
# DOS(E_F)   6.082 states/eV/f.u.
# Energy of formation   -0.783 eV/f.u.


# Nd8SmDy5 PBE-GGA optimized geometry
data_Nd8SmDy5
_chemical_formula_sum 'Nd8 Sm1 Dy5'
_cell_length_a 8.5837
_cell_length_b 8.6052
_cell_length_c 8.5837
_cell_angle_alpha 111.28
_cell_angle_beta 105.64
_cell_angle_gamma 111.45
_symmetry_space_group_name_H-M 'P 1'
_symmetry_Int_Tables_number 1
loop_
_symmetry_equiv_pos_as_xyz
'x,y,z'
loop_
_atom_site_label
_atom_site_fract_x
_atom_site_fract_y
_atom_site_fract_z
_atom_site_occupancy
Nd1 0.5678 0.9093 0.8357 1
Nd2 0.7278 0.2572 0.3320 1
Dy1 0.0357 0.3137 0.1314 1
Dy2 0.5002 0.0000 0.5002 1
Dy3 0.8682 0.9038 0.1811 1
Dy4 0.8177 0.6863 0.7219 1
********

Monique Duzant-Hastings

New Partnership Benefits Aspiring Special Education Teachers

June 5, 2017

Since 2015, Monique Duzant-Hastings has been working with students in grades 5 through 8 who have social, emotional, and behavioral needs. Thanks to the Neag School’s new partnership with her employer, the LEARN Regional Educational Service Center, she has now found a way to advance her career by pursuing certification as a K-12 special education teacher — at no cost to her. The new partnership offers LEARN personnel like Duzant-Hastings — a busy mother of three — the opportunity to apply for admission to the Neag School’s Teacher Certification Program for College Graduates (TCPCG) in special education at UConn’s Avery Point campus.

Ullinger Adapts to Change at UConn

May 15, 2017

Joining the UConn rowing program as a sophomore was admittedly intimidating for Katie Ullinger, a transfer from the University of Rhode Island where she was a swimmer in her freshman year. Three years later in her senior campaign, she has racked up a few rowing accolades and a lifetime of memories since becoming a Husky.

+++
[1]
Compound: Cr2PtRh6
Source: the Alexandria database
Functional: PBE-GGA
Structure: optimized geometry

- Space-group type: No. 12
- Crystal system: monoclinic

The structure in CIF format:
```
data_Cr2PtRh6
_cell_length_a 3.8326
_cell_length_b 4.6800
_cell_length_c 8.1093
_cell_angle_alpha 106.68
_cell_angle_beta 90.00
_cell_angle_gamma 114.17
_space_group_name_H-M_alt 'P 1'
_space_group_IT_number 1
_space_group_name_Hall 'P 1'
loop_
_atom_site_label
_atom_site_type_symbol
_atom_site_fract_x
_atom_site_fract_y
_atom_site_fract_z
Pt1 Pt 0.0000 0.0000 0.5000
Rh1 Rh 0.6663 0.3326 0.3875
Rh2 Rh 0.6691 0.3381 0.0549
Rh3 Rh 0.3337 0.6674 0.6125
Rh4 Rh 0.3309 0.6619 0.9451
Rh5 Rh 0.0008 0.0016 0.1671
Rh6 Rh 0.9992 0.9984 0.8329
Cr1 Cr 0.6691 0.3382 0.7238
Cr2 Cr 0.3309 0.6618 0.2762
```

***

[2]
Compound: Cr6PtRh5
Source: the Alexandria database
Functional: PBE-GGA
Structure: optimized geometry

- Space-group type: No. 71
- Crystal system: orthorhombic

The structure in CIF format:
```
data_Cr6PtRh5
_cell_length_a 3.7944
_cell_length_b 7.3640
_cell_length_c 7.1179
_cell_angle_alpha 121.15
_cell_angle_beta 105.46
_cell_angle_gamma 90.00
_space_group_name_H-M_alt 'P 1'
_space_group_IT_number 1
_space_group_name_Hall 'P 1'
loop_
_atom_site_label
_atom_site_type_symbol
_atom_site_fract_x
_atom_site_fract_y
_atom_site_fract_z
Cr1 Cr 0.8345 0.5823 0.6691
Cr2 Cr 0.1654 0.9132 0.3309
Cr3 Cr 0.1655 0.4177 0.3309
Cr4 Cr 0.5000 0.7469 0.0000
Cr5 Cr 0.8346 0.0868 0.6691
Cr6 Cr 0.5000 0.2531 0.0000
Pt1 Pt 0.0000 0.0000 0.0000
Rh1 Rh 0.3325 0.8325 0.6650
Rh2 Rh 0.6675 0.6675 0.3349
Rh3 Rh 0.0000 0.5000 0.0000
Rh4 Rh 0.6675 0.1675 0.3350
Rh5 Rh 0.3325 0.3325 0.6651
```

***

[3]
Compound: Cr5PtRh6
Source: the Alexandria database
Functional: PBE-GGA
Structure: optimized geometry

- Space-group type: No. 71
- Crystal system: orthorhombic

The structure in CIF format:
```
data_Cr5PtRh6
_cell_length_a 3.7941
_cell_length_b 7.0941
_cell_length_c 7.0941
_cell_angle_alpha 107.43
_cell_angle_beta 105.51
_cell_angle_gamma 105.51
_space_group_name_H-M_alt 'P 1'
_space_group_IT_number 1
_space_group_name_Hall 'P 1'
loop_
_atom_site_label
_atom_site_type_symbol
_atom_site_fract_x
_atom_site_fract_y
_atom_site_fract_z
Cr1 Cr 0.0000 0.3353 0.6647
Cr2 Cr 0.0000 0.6647 0.3353
Cr3 Cr 0.5000 0.1704 0.8296
Cr4 Cr 0.5000 0.8296 0.1704
Cr5 Cr 0.5000 0.5000 0.5000
Rh1 Rh 0.7449 0.5769 0.9129
Rh2 Rh 0.7625 0.2625 0.2625
Rh3 Rh 0.2551 0.4231 0.0871
Rh4 Rh 0.2551 0.0871 0.4231
Rh5 Rh 0.2375 0.7375 0.7375
Rh6 Rh 0.7449 0.9129 0.5769
Pt1 Pt 0.0000 0.0000 0.0000
```

***

[4]
Compound: CrPt2Rh
Source: the Alexandria database
Functional: PBE-GGA
Structure: optimized geometry

- Space-group type: No. 225
- Crystal system: cubic

The structure in CIF format:
```
data_CrPt2Rh
+++

Marisa Maccario and UConn Women's Ice Hockey Team

10 Questions With Student-Athlete Marisa Maccario ’18 (ED)

April 18, 2017

UConn women’s ice hockey forward Marisa Maccario ’18 (ED), a native of Marblehead, Mass., has been playing on a hockey team since the age of 5. Currently a sport management major in the Neag School, talks here about her experience as a student-athlete, about her favorite class at UConn, and more.

Degnans with Kimberly Duhart

Students, Donors Celebrate at Annual Scholarship Awards Ceremony

April 13, 2017

Calculated crystals, kept here for reference:
┌──
Record 1
# Be2In2Pd, relaxed, DFT PBE-GGA
data_Be2In2Pd
_space_group_name_H-M_alt 'P 1'
_space_group_IT_number 1
_space_group_name_Hall 'P 1'
_cell_length_a 6.373
_cell_length_b 6.373
_cell_length_c 3.884
_cell_angle_alpha 90.00
_cell_angle_beta 90.00
_cell_angle_gamma 90.00
loop_
_atom_site_label
_atom_site_type_symbol
_atom_site_fract_x
_atom_site_fract_y
_atom_site_fract_z
Be1 Be 0.376 0.876 0.000
Be2 Be 0.876 0.624 0.000
Be3 Be 0.624 0.124 0.000
Be4 Be 0.124 0.376 0.000
Pd1 Pd 0.000 0.000 0.000
Pd2 Pd 0.500 0.500 0.000
In1 In 0.175 0.675 0.500
In2 In 0.675 0.825 0.500
In3 In 0.825 0.325 0.500
In4 In 0.325 0.175 0.500
# **V**: 15.78 Å³/atom
# **E_form**: 0.098 eV per atom
# **Energy above the lowest structure with this stoichiometry**: 0.000 eV/atom

---

Record 2
# Ho3Ag, relaxed, DFT PBE-GGA
data_Ho3Ag
_space_group_name_H-M_alt 'P 1'
_space_group_IT_number 1
_space_group_name_Hall 'P 1'
_cell_length_a 4.578
_cell_length_b 4.578
_cell_length_c 6.088
_cell_angle_alpha 112.09
_cell_angle_beta 112.09
_cell_angle_gamma 90.00
loop_
_atom_site_label
_atom_site_type_symbol
_atom_site_fract_x
_atom_site_fract_y
_atom_site_fract_z
Ho1 Ho 0.750 0.250 0.500
Ho2 Ho 0.250 0.750 0.500
Ho3 Ho 0.500 0.500 0.000
Ag1 Ag 0.000 0.000 0.000
# **V**: 27.02 Å³/atom
# **E_form**: 0.029 eV per atom
# **Energy above the lowest structure with this stoichiometry**: 0.144 eV/atom

---

Record 3
# TlAg2Pd, relaxed, DFT PBE-GGA
data_TlAg2Pd
_space_group_name_H-M_alt 'P 1'
_space_group_IT_number 1
_space_group_name_Hall 'P 1'
_cell_length_a 3.963
_cell_length_b 3.963
_cell_length_c 10.693
_cell_angle_alpha 79.32
_cell_angle_beta 79.32
_cell_angle_gamma 90.00
loop_
_atom_site_label
_atom_site_type_symbol
_atom_site_fract_x
_atom_site_fract_y
_atom_site_fract_z
Tl1 Tl 0.000 0.000 0.000
Tl2 Tl 0.750 0.250 0.500
Pd1 Pd 0.500 0.500 0.000
Pd2 Pd 0.250 0.750 0.500
Ag1 Ag 0.618 0.125 0.250
Ag2 Ag 0.132 0.625 0.250
Ag3 Ag 0.375 0.382 0.750
Ag4 Ag 0.875 0.868 0.750
# **V**: 20.26 Å³/atom
# **E_form**: 0.103 eV per atom
# **Energy above the lowest structure with this stoichiometry**: 0.127 eV/atom

---

Record 4
# Dy2TmAu, relaxed, DFT PBE-GGA
data_Dy2TmAu
_space_group_name_H-M_alt 'P 1'
_space_group_IT_number 1
_space_group_name_Hall 'P 1'
_cell_length_a 3.629
_cell_length_b 3.629
_cell_length_c 10.222
_cell_angle_alpha 79.77
_cell_angle_beta 79.77
_cell_angle_gamma 60.00
loop_
_atom_site_label
_atom_site_type_symbol
_atom_site_fract_x
_atom_site_fract_y
_atom_site_fract_z
Tm1 Tm 0.500 0.500 0.500
Au1 Au 0.000 0.000 0.000
Dy1 Dy 0.262 0.262 0.215
Dy2 Dy 0.738 0.738 0.785
# **V**: 28.53 Å³/atom
# **E_form**: -0.269 eV per atom
# **Energy above the lowest structure with this stoichiometry**: 0.183 eV/atom

---

Record 5
# La2MgAgIr, relaxed, DFT PBE-GGA
data_La2MgAgIr
_space_group_name_H-M_alt 'P 1'
_space_group_IT_number 1
_space_group_name_Hall 'P 1'
_cell_length_a 5.522
_cell_length_b 5.522
_cell_length_c 5.096
_cell_angle_alpha 90.00
_cell_angle_beta 90.00
_cell_angle_gamma 90.00
└──
So much for the calculated crystals:

The Neag School of Education honored more than 100 of its students last night at its Annual Scholarship Awards Ceremony. Formerly known as the Honors Day Celebration, the event — held at the Jorgensen Center for Performing Arts on the UConn Storrs campus — brought together current students receiving Neag School-affiliated scholarships in the coming academic year; their guests; and the donors whose contributions to the Neag School make these sources of financial support possible.